Apr 21, 2020

How the epidemics of modern history shaped the current design of our houses

With almost everyone spending more time at home, it’s normal for you to have started noticing things you didn’t notice before. It is also normal that you have asked yourself, at some point, if there is anything to do, other than cleaning, to get rid of viruses. But what you may not know is that much of the design of our contemporary residences arose as a result of other major epidemics, such as the 1918 flu pandemic, tuberculosis and dysentery, for example.


The history of furniture over the last two hundred years is closely related to health measures. The professor Architecture History, Juliana Suzuki, explains that this starts with sanitary measures in Europe, at the end of the 19th century. It was at that time that the great discoveries about the transmission of diseases were happening.


“People believed that the great disease vector was the air itself. That is why those who were sick were sent away from the city to receive ‘fresh air’. It is with the cholera epidemic in England, which decimated the urban populations, that the debate about the origin of the diseases begins to gain more strength.”, explains Juliana.


At that time, very basic tasks, such as washing hands and cleaning the house, were not usual. It was only with advances in science and the discovery of ”bacteria” that the understanding of hygiene became widespread. “These sanitary practices begin as government measures. Today, it seems strange, but laws were needed for people to sweep their homes and wash their hands. And they were outraged! Because they didn’t quite understand the reason for that.”


After some time, these health practices proved to be very effective and became routine. “At a certain point, this moves from the sphere of urbanism to the domestic space and is incorporated into architecture and decoration. See, for example, the alcoves, rooms without any windows; they were very common. But then it became clear that non-ventilation contributes to the spread of diseases, so they are no longer authorised.”, points out the teacher.


See examples of the design of which has been linked to attempts to contain infectious diseases:


1. Closets

********
Density functional theory data (ωB97M-V/def2-TZVPD) for a molecular structure, H4N2OS in a non-equilibrium geometry.

```
8
Properties=species:S:1:pos:R:3
N 0.815 -1.287 -0.461
N 0.878 1.215 0.151
O -1.597 0.298 0.031
S 0.437 -0.369 0.696
H 0.615 -2.283 -0.384
H 0.029 1.760 0.240
H 1.071 0.921 -0.902
H -2.249 -0.255 0.629
```

Summary:
- net charge = 0
- electronic energy (Eh) = -585.21868
- energy above the lowest of the compared OMol25 structures with the same formula, charge and spin (kcal per mole) = 56.56
- max |F| (eV Å⁻¹) = 4.0
- lowest unoccupied orbital energy (alpha / beta) (Ha) = -0.0218 / -0.0218
- HOMO-LUMO gap (alpha / beta) (Eh) = 0.326 / 0.326

=====

Density functional theory data (ωB97M-V/def2-TZVPD) for 4 unconnected molecules or ions with the total composition C28H61N3O4 in a non-equilibrium geometry.

```
96
Properties=species:S:1:pos:R:3
C -1.186 -3.228 -4.092
C -2.403 -2.350 -4.586
C -3.378 -3.343 -5.329
C -2.969 -1.672 -3.312
C -2.045 -0.713 -2.614
C -1.819 0.382 -3.579
C -1.236 -0.113 -4.959
C -1.346 1.049 -5.994
C 0.202 -0.503 -4.813
N -2.088 -1.169 -5.424
O -1.544 -1.617 -6.666
H -1.421 -3.989 -3.358
H -0.672 -3.637 -4.965
H -0.454 -2.625 -3.599
H -2.806 -3.983 -5.964
H -3.906 -4.003 -4.654
H -4.120 -2.833 -5.989
H -3.821 -1.141 -3.670
H -3.471 -2.435 -2.647
H -2.494 -0.338 -1.647
H -1.091 -1.204 -2.393
H -1.117 1.149 -3.211
H -2.775 0.958 -3.691
H -1.010 2.002 -5.586
H -2.370 1.311 -6.229
H -0.837 0.752 -6.878
H 0.461 -1.161 -5.611
H 0.502 -0.925 -3.857
H 0.799 0.410 -4.779
H -2.287 -1.655 -7.267
C -1.568 2.029 6.664
C -2.066 1.325 5.388
C -2.189 -0.159 5.742
C -3.325 2.005 4.996
C -3.135 3.382 4.384
C -2.111 3.362 3.236
C -0.784 2.629 3.610
C -0.050 2.217 2.306
C 0.257 3.434 4.490
N -1.180 1.355 4.213
O 0.052 0.645 4.591
H -2.282 1.641 7.483
H -0.523 1.736 6.879
H -1.623 3.156 6.716
H -2.287 -0.849 4.925
H -1.342 -0.451 6.295
H -3.057 -0.384 6.328
H -3.872 1.466 4.294
H -4.000 2.024 5.856
H -4.056 3.622 3.890
H -2.892 4.112 5.101
H -1.922 4.306 2.715
H -2.655 2.651 2.524
H -0.763 1.806 1.542
H 0.736 1.489 2.542
H 0.490 3.079 1.803
H -0.222 3.783 5.357
H 0.499 4.273 3.849
H 1.158 2.843 4.728
H 0.053 -0.100 3.904
C 3.711 1.835 1.018
C 3.413 0.948 -0.148
C 2.264 1.599 -0.928
C 4.684 0.798 -1.034
C 4.579 -0.288 -2.097
C 4.253 -1.556 -1.413
C 3.025 -1.579 -0.522
C 1.729 -1.713 -1.320
C 3.134 -2.820 0.344
N 3.139 -0.396 0.359
O 2.072 -0.371 1.352
H 2.770 2.158 1.523
H 4.450 1.397 1.716
H 4.174 2.712 0.608
H 2.345 1.310 -2.026
H 1.333 1.357 -0.499
H 2.338 2.669 -0.961
H 5.024 1.759 -1.468
H 5.470 0.502 -0.330
H 3.776 -0.031 -2.811
H 5.543 -0.390 -2.642
H 5.194 -1.778 -0.863
H 4.129 -2.323 -2.189
H 1.713 -2.723 -1.693
H 1.816 -1.155 -2.238
H 0.824 -1.482 -0.699
H 3.954 -2.569 1.059
H 3.293 -3.735 -0.267
H 2.224 -3.053 0.888
H 2.506 -0.727 2.129
C -0.371 -3.024 2.849
O -0.231 -1.606 2.728
H -1.086 -3.423 2.117
H 0.593 -3.456 2.655
H -0.781 -3.250 3.835
H 0.360 -1.399 1.982
```

Summary:
********

If you’ve ever been to an older apartment or house (or even live in one), chances are that lack of closet space is a problem. The reason for this is that, until the beginning of the 20th century, it was common for clothes to be stored in various independent furniture.

The change to concentrate everything on one big closet itself happened to make it easier to clean the rooms. Wardrobes and cabinets were heavy and collected a lot of dust and dirt. In the mid-1920s, Le Corbusier consolidated this idea by writing about the importance of hygiene and cleanliness in the design of homes and defending minimalism.


2. Kitchen Tiles

Do you know the famous white hospital tiles? They became popular in homes from the 19th century, because they were associated with cleaning and germ-free environments. It was at this time that people began to understand how much of the infectious diseases spread, so clear, smooth and easy to clean walls were a way to ensure that dirt would appear and could be cleaned easily.


3. Guest Bathrooms

The idea behind a guest toilet was not to have to share the bathroom that you and your family use with strangers. Considering that it was a period that people visit constantly and daily deliveries at home were common (bread, milk, coal, even ice), a bathroom right at the entrance to the house was convenient if any visitor wanted to use it.

In addition, having a sink near the main room and the entrance encouraged hand hygiene, a crucial measure in preventing diseases.


What’s next?

It is still a little early to know what is will be the impact of the Coronavirus on home furnishings, however, it is safe to say that sanitary measures will return to the agenda. Perhaps in the future, houses will have sinks next to the main doors, as well as spaces for leaving shoes and clothes (although coat hanging is common in England, is not at some other places) and even, perhaps, separate entrances that go straight to the toilets, so that sanitisation happens before entering.